== Work order ==
Now transcribe the lines underneath from the one with "-2.01" to the one with "-0.73" word for word.
== Contents ==
'''
ORCA calculation (the ωB97M-V functional and the def2-TZVPD basis) on a structure of composition C36H40N9O5S2.

Atoms and positions in Å:
N  -5.06  -3.27  3.70
C  -4.34  -3.08  4.93
S  -3.01  -4.30  5.24
O  -2.88  -5.07  4.01
O  -3.38  -5.01  6.45
N  -1.69  -3.45  5.55
S  -1.05  -2.70  4.31
O  -2.04  -2.02  3.50
O  0.07  -1.92  4.76
O  -0.42  -3.83  3.37
H  -4.48  -3.00  2.92
H  -5.34  -4.23  3.59
H  -4.99  -3.19  5.80
H  -3.89  -2.09  4.95
H  -1.12  -4.14  2.78
N  -2.92  -1.74  0.05
C  -2.81  -1.77  -1.27
C  -2.14  -0.80  -2.01
C  -1.58  0.27  -1.33
C  -1.71  0.32  0.05
C  -2.37  -0.71  0.70
H  -3.27  -2.61  -1.77
H  -2.06  -0.89  -3.08
H  -1.04  1.05  -1.86
H  -1.27  1.12  0.62
H  -2.41  -0.74  1.78
N  1.72  1.83  -3.76
C  2.51  2.71  -3.15
C  3.17  2.45  -1.96
C  3.01  1.21  -1.37
C  2.21  0.27  -2.00
C  1.60  0.63  -3.19
H  2.61  3.68  -3.63
H  3.79  3.21  -1.50
H  3.51  0.97  -0.43
H  2.07  -0.71  -1.57
H  0.95  -0.07  -3.70
N  -5.75  1.52  -2.47
C  -6.19  2.74  -2.74
C  -5.95  3.84  -1.94
C  -5.20  3.67  -0.78
C  -4.72  2.40  -0.49
C  -5.02  1.36  -1.36
H  -6.77  2.85  -3.65
H  -6.33  4.81  -2.22
H  -4.99  4.50  -0.13
H  -4.13  2.21  0.40
H  -4.66  0.36  -1.16
N  5.13  -4.08  5.27
C  4.25  -3.22  4.76
C  2.94  -3.10  5.19
C  2.51  -3.92  6.22
C  3.41  -4.83  6.77
C  4.70  -4.87  6.26
H  4.62  -2.60  3.95
H  2.25  -2.40  4.75
H  1.49  -3.86  6.58
H  3.12  -5.49  7.57
H  5.43  -5.56  6.67
N  6.43  1.88  -0.26
C  6.85  1.70  -1.51
C  7.74  2.55  -2.15
C  8.22  3.65  -1.45
C  7.78  3.86  -0.15
C  6.89  2.95  0.40
H  6.45  0.83  -2.02
H  8.05  2.35  -3.17
H  8.91  4.34  -1.92
H  8.12  4.70  0.43
H  6.53  3.07  1.41
N  -5.91  4.91  -5.29
C  -5.93  4.19  -6.41
C  -6.13  4.73  -7.67
C  -6.33  6.10  -7.77
C  -6.31  6.86  -6.61
C  -6.10  6.22  -5.40
H  -5.77  3.12  -6.29
H  -6.13  4.10  -8.54
H  -6.49  6.56  -8.73
H  -6.46  7.93  -6.64
H  -6.07  6.78  -4.47
N  3.11  -2.63  -0.42
C  2.88  -2.85  0.87
C  3.74  -3.57  1.70
C  4.90  -4.08  1.15
C  5.16  -3.86  -0.20
C  4.24  -3.13  -0.93
H  1.96  -2.44  1.27
H  3.49  -3.72  2.74
H  5.60  -4.64  1.76
H  6.05  -4.24  -0.67
H  4.40  -2.93  -1.99

Results
- frontier orbital gap (Ha) = 0.289
- LUMO level (eV) = 1.956
- charge = -1

ORCA calculation (the ωB97M-V functional and the def2-TZVPD basis) on a cluster of 2 separate species, C4H5O3S2 in total.

Atoms and positions in Å:
C  1.29  -0.79  -0.14
C  -1.03  -1.39  0.85
C  0.14  -0.97  0.42
C  1.89  0.51  -0.66
O  -1.26  1.68  -1.23
O  -1.36  2.08  1.19
O  -3.03  0.57  0.16
S  -1.85  -2.68  0.01
S  -1.74  1.24  0.07
H  2.16  -1.52  -0.11
H  -1.42  -1.07  1.80
H  2.55  0.17  -1.46
H  1.13  1.29  -0.99
H  2.53  0.87  0.08

Results
- frontier orbital gap (alpha / beta) (Ha) = 0.218 / 0.219
- LUMO level (alpha / beta) (eV) = 2.519 / 2.531
- charge = -1

ORCA calculation (the ωB97M-V functional and the def2-TZVPD basis) on a cluster of 2 separate species, C3H3N3O in total.

Atoms and positions in Å:
N  -1.38  0.02  -1.42
C  -0.43  -0.03  -0.69
N  -0.99  -2.30  0.34
N  -0.49  -2.02  1.28
O  0.45  2.41  0.16
C  1.09  1.41  0.42
C  0.70  0.07  0.01
H  -2.34  -0.25  -1.26
H  2.03  1.45  1.01
H  1.36  -0.78  0.15

Results
- frontier orbital gap (Ha) = 0.361
- SMILES = N=C=CC=O.N#N
- LUMO level (eV) = 0.499

ORCA calculation (the ωB97M-V functional and the def2-TZVPD basis) on a structure of composition C38H24BrF5NO4P2S2SeTi.

Atoms and positions in Å:
Ti  -0.87  -1.34  1.95
O  -0.40  -3.08  -1.86
C  -0.33  -2.79  -0.57
O  -1.26  -2.29  0.08
C  0.98  -2.95  0.12
C  2.09  -3.66  -0.29
C  3.20  -3.63  0.55
C  3.16  -2.89  1.73
C  2.00  -2.21  2.05
N  0.95  -2.27  1.26
C  1.76  -1.30  3.25
O  2.67  -1.06  4.03
O  0.56  -0.83  3.26
H  -1.30  -2.84  -2.16
H  2.07  -4.23  -1.21
H  4.08  -4.19  0.28
H  4.01  -2.83  2.40
S  -2.87  -0.18  3.00
P  -1.94  1.30  1.98
C  -0.85  0.60  0.91
P  -0.82  0.85  -0.77
S  -2.16  0.09  -2.04
C  -0.73  2.67  -1.11
C  -1.62  3.30  -1.96
C  -1.57  4.67  -2.15
C  -0.62  5.43  -1.49
C  0.29  4.81  -0.64
C  0.23  3.44  -0.45
'''
== Completed ==
C  -2.14  -0.80  -2.01
C  -1.58  0.27  -1.33
C  -1.71  0.32  0.05
C  -2.37  -0.71  0.70
H  -3.27  -2.61  -1.77
H  -2.06  -0.89  -3.08
H  -1.04  1.05  -1.86
H  -1.27  1.12  0.62
H  -2.41  -0.74  1.78
N  1.72  1.83  -3.76
C  2.51  2.71  -3.15
C  3.17  2.45  -1.96
C  3.01  1.21  -1.37
C  2.21  0.27  -2.00
C  1.60  0.63  -3.19
H  2.61  3.68  -3.63
H  3.79  3.21  -1.50
H  3.51  0.97  -0.43
H  2.07  -0.71  -1.57
H  0.95  -0.07  -3.70
N  -5.75  1.52  -2.47
C  -6.19  2.74  -2.74
C  -5.95  3.84  -1.94
C  -5.20  3.67  -0.78
C  -4.72  2.40  -0.49
C  -5.02  1.36  -1.36
H  -6.77  2.85  -3.65
H  -6.33  4.81  -2.22
H  -4.99  4.50  -0.13
H  -4.13  2.21  0.40
H  -4.66  0.36  -1.16
N  5.13  -4.08  5.27
C  4.25  -3.22  4.76
C  2.94  -3.10  5.19
C  2.51  -3.92  6.22
C  3.41  -4.83  6.77
C  4.70  -4.87  6.26
H  4.62  -2.60  3.95
H  2.25  -2.40  4.75
H  1.49  -3.86  6.58
H  3.12  -5.49  7.57
H  5.43  -5.56  6.67
N  6.43  1.88  -0.26
C  6.85  1.70  -1.51
C  7.74  2.55  -2.15
C  8.22  3.65  -1.45
C  7.78  3.86  -0.15
C  6.89  2.95  0.40
H  6.45  0.83  -2.02
H  8.05  2.35  -3.17
H  8.91  4.34  -1.92
H  8.12  4.70  0.43
H  6.53  3.07  1.41
N  -5.91  4.91  -5.29
C  -5.93  4.19  -6.41
C  -6.13  4.73  -7.67
C  -6.33  6.10  -7.77
C  -6.31  6.86  -6.61
C  -6.10  6.22  -5.40
H  -5.77  3.12  -6.29
H  -6.13  4.10  -8.54
H  -6.49  6.56  -8.73
H  -6.46  7.93  -6.64
H  -6.07  6.78  -4.47
N  3.11  -2.63  -0.42
C  2.88  -2.85  0.87
C  3.74  -3.57  1.70
C  4.90  -4.08  1.15
C  5.16  -3.86  -0.20
C  4.24  -3.13  -0.93
H  1.96  -2.44  1.27
H  3.49  -3.72  2.74
H  5.60  -4.64  1.76
H  6.05  -4.24  -0.67
H  4.40  -2.93  -1.99

Results
- frontier orbital gap (Ha) = 0.289
- LUMO level (eV) = 1.956
- charge = -1

ORCA calculation (the ωB97M-V functional and the def2-TZVPD basis) on a cluster of 2 separate species, C4H5O3S2 in total.

Atoms and positions in Å:
C  1.29  -0.79  -0.14
C  -1.03  -1.39  0.85
C  0.14  -0.97  0.42
C  1.89  0.51  -0.66
O  -1.26  1.68  -1.23
O  -1.36  2.08  1.19
O  -3.03  0.57  0.16
S  -1.85  -2.68  0.01
S  -1.74  1.24  0.07
H  2.16  -1.52  -0.11
H  -1.42  -1.07  1.80
H  2.55  0.17  -1.46
H  1.13  1.29  -0.99
H  2.53  0.87  0.08

Results
- frontier orbital gap (alpha / beta) (Ha) = 0.218 / 0.219
- LUMO level (alpha / beta) (eV) = 2.519 / 2.531
- charge = -1

ORCA calculation (the ωB97M-V functional and the def2-TZVPD basis) on a cluster of 2 separate species, C3H3N3O in total.

Atoms and positions in Å:
N  -1.38  0.02  -1.42
C  -0.43  -0.03  -0.69
N  -0.99  -2.30  0.34
N  -0.49  -2.02  1.28
O  0.45  2.41  0.16
C  1.09  1.41  0.42
C  0.70  0.07  0.01
H  -2.34  -0.25  -1.26
H  2.03  1.45  1.01
H  1.36  -0.78  0.15

Results
- frontier orbital gap (Ha) = 0.361
- SMILES = N=C=CC=O.N#N
- LUMO level (eV) = 0.499

ORCA calculation (the ωB97M-V functional and the def2-TZVPD basis) on a structure of composition C38H24BrF5NO4P2S2SeTi.

Atoms and positions in Å:
Ti  -0.87  -1.34  1.95
O  -0.40  -3.08  -1.86
C  -0.33  -2.79  -0.57
O  -1.26  -2.29  0.08
C  0.98  -2.95  0.12
C  2.09  -3.66  -0.29
C  3.20  -3.63  0.55
C  3.16  -2.89  1.73
C  2.00  -2.21  2.05
N  0.95  -2.27  1.26
C  1.76  -1.30  3.25
O  2.67  -1.06  4.03
O  0.56  -0.83  3.26
H  -1.30  -2.84  -2.16
H  2.07  -4.23  -1.21
H  4.08  -4.19  0.28
H  4.01  -2.83  2.40
S  -2.87  -0.18  3.00
P  -1.94  1.30  1.98
C  -0.85  0.60  0.91
P  -0.82  0.85  -0.77
S  -2.16  0.09  -2.04
C  -0.73  2.67  -1.11